Tuesday, September 1, 2009

Veganism And The Gospel - by Candice Mattson McDaniel

Deciding to become vegetarian and eventually vegan was not easy. I had only met a few other vegetarians throughout my life, one of whom was a girlfriend of my brother's. I was little at the time, but I remember my bewildered family wondered what to give her for dinner. Growing up, I was sheltered when it came to other ways of eating and I never questioned what I ate on a daily basis.

But as I learned more about how animals are treated in this world, I couldn't go back to living that way again. Knowing I had to change my habits was an uncomfortable feeling. I couldn't keep going down the same path, because it would cause inner turmoil. At first, I went the route of vegetarian by cutting meat out of my diet. After a few months, I decided to become vegan, making the transition to remove all animal products from my daily meals. This transition was stressful because I felt disloyal and that I would somehow be alienated from my family and friends. Growing up in rural Idaho, veganism rubbed off on me as being taboo.

This was probably because my family's traditions are deeply rooted around animals. My mother grew up on a dairy farm and my father raises beef cattle. It is custom in my family to hunt and fish and most of our vacations are centered around fishing. Because I was raised this way, meat was a staple food in my house. It was something readily available.

While I was making this change and told people about my lifestyle choice, one argument I constantly heard was, "The purpose of animals is for our use, Candice." I have always questioned this statement. I do not believe a certain animal was created only to give us their meat or milk. Yet, I had always learned that we had dominion over the animals and they were here for us "to use" because it supposedly says so in the scriptures. So if I don’t believe animals were only created for me to use, does that not make me a Christian? This question was eating away at me, so I started searching.

It was in my online searches for someone — anyone —who thought like I did that I found Christopher Foster, a philosophy instructor at BYU. Foster, a vegetarian, has compiled a PowerPoint lecture titled "Mormonism and Animal Rights — Harmony or Contradiction?" He has presented this at various locations across Utah, including Salt Lake Community College and Brigham Young University. His lecture is packed with quotations and scriptures stressing the need to end useless killing of animals. Foster believes we should "only eat them if we have need." He also states that it is against the basic ethical principle to cause suffering when the benefits do not outweigh the misery caused. "The suffering caused by factory farming (where the vast majority of American meat comes from) is so extreme that the need required in order to balance that out must also be extreme — it would have to be necessary for our lives," says Foster.

The Word of Wisdom seems to agree with this. In Doctrine and Covenants chapter 89, we read in verse 12:

"Yea, flesh also of beasts and of the fowls of the air, I, the Lord, have
ordained for the use of man with thanksgiving; nevertheless they are to be used

Verse 13 expands on the word sparingly by stating:

"And it is pleasing unto me that they should not be used, only in times of
winter, or of cold, or famine."

Even though the Word of Wisdom states to eat it sparingly in times of winter or famine, do we really need to eat meat at all? Doctrine and Covenants 49:21 states:

"And wo be unto man that sheddeth blood or that wasteth flesh and hath no need."
Industrialization has provided many ways for us to obtain different varieties of foods, including a wide array of fruits and vegetables. As Foster points out in his presentation, "Today, we have ample vegetarian food available year round." There are plenty of alternative protein sources, such as beans, nuts, and seeds. We are blessed to have such an abundant food supply, especially in this country. We definitely don't live in a country of famine.

According to a January 2008 article in The New York Times titled, "Rethinking the Meat Guzzler" by Mark Bittman, Americans, on average, consume nearly double the average of meat than the rest of the world. This is vital when taken into account that, according to the same piece, nearly 800 million people worldwide suffer from hunger or malnutrition. The majority of the world’s corn and soy are fed to chickens, pigs and cattle. In her book “Diet for a Small World," Frances Moore Lappe says, "For every 16 pounds of grain and soy fed to beef cattle in the United States we only get 1 pound back in meat on our plates." She then points out, "If we exclude dairy cows, the average ratio of all U.S. livestock is 7 pounds of grain and soy to produce 1 pound of edible food." A similar number was found on the Environmental Health Perspectives website. A Research Review explains that it takes seven pounds and about 2,400 gallons of water to produce one pound of feedlot beef. When this feed is given to animals instead of people, it is taking away land, food and water that could have been helped to prevent starvation of these suffering people. For me, these statistics raise serious questions about whether we are optimizing what we have been given to better the lives of our fellow beings. Is our exploitation of these resources really justifiable? Do we really consider the damage we are doing to these creatures?"

Animals are like children in a sense that they are innocent and under our dominion," Foster said. "Everyone knows deep down that kindness to animals is necessary." He believes kindness to animals is spiritually, environmentally and ethically essential. "There are literally billions raised and killed in the most brutal ways for our appetite preferences and their suffering is as real as ours. We are hypocrites for ignoring them and thereby causing their misery," he says. We are clearly not showing compassion for animals by killing them when it isn’t necessary.

Many church leaders have expressed their feelings on this topic, basing their beliefs on the scriptures. One slide in Foster’s presentation includes this quote from Joseph Fielding Smith:
"There is no inference in the scriptures that it is the privilege of men to
slay birds or beasts or to catch fish wantonly. The Lord gave life to every
creature… Therefore to take the life of these creatures wantonly is a sin before
the Lord."

It is a fundamental belief in Christianity that God gave man dominion over animals. In Genesis chapter one, we read that God created the earth and the creatures upon it, and more specifically in verse 28, we hear:
"…God said unto them, Be fruitful, and multiply, and replenish the earth,
and subdue it; and have dominion over the fish of the sea, and over the fowl of
the air, and over every living thing that moveth upon the earth."

But what is the extent of our dominion?"

Adam’s dominion was a charge to see to it that all went well with God’s creatures; it was not a license to exterminate them," Hugh Nibley said in the book "Kindness to Animals and Caring for the Earth" by Richard D. Stratton. This quotation, along with others, seems to suggest there is righteous and unrighteous dominion that can be practiced over the earth.

One slide on Foster’s presentation discusses unrighteous dominion by using a quote from the February 1912 edition of the Juvenile Instructor. In this citation, Joseph F. Smith points out, "The dominion the Lord gave man over the brute creation has been, to a very large extent, used selfishly, thoughtlessly, cruelly." Foster also adds: "We are utterly indifferent to the suffering we cause to so many beings. This is about as unrighteous as dominion gets."

In my research it was surprising to find that Joseph Smith was an advocate of kindness and respect to animals. Gerald E. Jones includes a story about Joseph Smith in his article "The Gospel and Animals" in the August 1972 edition of the Ensign. During the Zion’s Camp expedition in summer 1834, Joseph Smith tells the story of how they found three rattlesnakes in their tent. Some brethren were about to kill them but Joseph Smith said, "Let them alone — don’t hurt them!" and instructed the brethren to take them across the creek. He also explicitly told them not to kill another creature unless it was absolutely required to prevent them from starving to death.

Another prophet, Spencer W. Kimball, expressed his beliefs on the unnecessary killing of animals in the October 1978 LDS Conference by stating:
"And not less with reference to the killing of innocent birds is the
wildlife of our country that live upon vermin that are indeed enemies to the
farmer and mankind. It is not only wicked to destroy them, it is a shame, in my
opinion. I think that this principle should extend not only to the bird life but
to the life of all animals."

I had believed this all my life, but never quite made the connection between the animals that died and the food I ate. The turning point was one weekend when I went home to visit my parents. I went with my nieces to see the newborn calves in my father’s pasture. One calf, full of curiosity, cautiously came up and stood in front of my nieces and me. He stood there for a few moments, staring and sniffing. My eyes welled up with tears because I knew this calf, innocent and pure, was only born to die.

Although it’s easy to only blame the meat industry for what happens to livestock, it is important to know unnecessary killing and abuse of animals exists in every animal industry. For example, the veal industry is directly tied to the dairy industry. A USDA Fact Sheet entitled "Veal from Farm to Table" states, "Male dairy calves are used in the veal industry. Dairy cows must give birth to continue producing milk, but male dairy calves are of little or no value to the dairy farmer." The calf is taken away from its mother so the cow can be milked. Continuous pregnancies play a heavy role on the health of the cow and if its production levels drop below profit, the cow is slaughtered.

The main reason why milk is consumed is to get the calcium our body needs. However, milk is not the best and only way to get that calcium. According to an article entitled "Calcium and Milk: What’s Best for Your Bones?" published by the Harvard School of Public Health: "Milk is actually one of many sources of calcium — dark leafy green vegetables and some types of legumes are among other sources…" To me, it makes sense to get calcium from plant sources, where the cows get theirs.

The same goes for egg-laying chickens. Little regard is taken for the lives of birds in this industry. A fact sheet on the American Egg Board's website states: "As the hen ages, egg quality declines and, at about 18 to 20 months of age, molting occurs and egg production ceases. While some flocks are sold for slaughter at this point, replacement is costly. A fairly common practice is to place the flock into a controlled molt." Controlled or induced molting is the artificial practice of the industry to force chickens to lose feathers and weight in hopes of producing more eggs. An article entitled "Induced Molting of Commercial Layers" by the North Carolina Cooperative Extension Service gives very specific outlines for this practice. The article states: "To cause the birds to stop laying abruptly, they should be 'conditioned' by exposing them to constant light (24 hours per day) for seven days before withdrawing feed." In order to lose weight, feed is taken away for up to two weeks. In addition to this, most chickens are confined to small areas and cages. These artificial practices are very stressful and damaging to the birds. Since they are being used as production plants, we should always be mindful of their health and well-being.

We have always been taught that we, as members of the LDS church, need to take care of the beautiful earth we have been given. Stratton's book includes one of my favorite thoughts by Ezra Taft Benson on this subject. Benson says: "Whatever mortal reasons there are to be concerned about [the] environment, there are eternal reasons, too, for us to be thoughtful stewards.” President Brigham Young said: 'Not one particle of all that comprises this vast creation of God is our own. Everything we have has been bestowed upon us for our action, to see what we would do with it — whether we would use it for eternal life and exaltation, or for eternal death and degradation.'" Kindness to animals and taking care of our earth are one in the same; damage one and you damage the other.

Going back to the article by Bittman, referring to large animal production plants, it states: "These assembly-line meat factories consume enormous amounts of energy, pollute water supplies, generate significant greenhouse gases and require ever-increasing amounts of corn, soy and other grains, a dependency that has led to the destruction of vast swaths of the world's tropical rain forests."

Senior UN Food and Agriculture Organization official Henning Steinfeld confirms this in an article entitled "Livestock a Major Threat to Environment" released by the United Nations. Steinfeld states: "'Livestock are one of the most significant contributors to today's most serious environmental problems."

Harvesting livestock is not the only practice that damages the environment. Overfishing is a serious threat to the ecosystems of the world's oceans. According to the United Nations article "Overfishing: a threat to marine diversity," one in five people are dependent on fish as their primary source of protein. UN agencies state this is damaging because aquaculture, the stocking and farming of aquatic organisms, is increasing more swiftly than other food producing sectors. “According to a Food and Agriculture Organization (FAO) estimate, over 70% of the world's fish species are either fully exploited or depleted," the article states.

On an individual level, we might not harm the environment much by eating animal products. However, collectively, we are doing serious harm. Foster offers a quotation by Brigham Young that says, "If we maltreat our animals, or each other, the spirit within us, our traditions, and the Bible, all agree in declaring it is wrong." As children of our Heavenly Father, we know it is our sacred stewardship to protect what He has so abundantly blessed us with. We should not be selfish; but I believe we should be grateful for everything that He gives us. I see veganism as a means to be thankful for these blessings and to make sure that others can do the same.

Ovid the poet, in the book "Metamorphoses," once rhymed:
"Take not away the life you cannot give, for all things have an equal right to
"I couldn’t agree more.

1 comment:

Jansartsy said...

'''
Entry 1:
A plane-wave DFT calculation with GGA-PBEsol was carried out for a geometry-optimized K2Mg2Mo3O12 structure.

POSCAR file:
```
K2Mg2Mo3O12
1.0
10.757 0.000 0.000
0.000 10.757 0.000
0.000 0.000 10.757
K Mg Mo O
8 8 12 48
Cartesian
0.631 0.631 0.631
4.748 10.126 6.010
10.126 6.010 4.748
6.010 4.748 10.126
8.875 8.875 8.875
7.261 1.882 3.496
1.882 3.496 7.261
3.496 7.261 1.882
3.645 3.645 3.645
1.734 7.113 9.023
7.113 9.023 1.734
9.023 1.734 7.113
6.612 6.612 6.612
9.524 4.146 1.233
4.146 1.233 9.524
1.233 9.524 4.146
0.307 2.160 4.093
5.072 8.597 9.471
10.451 7.539 1.286
4.093 0.307 2.160
5.685 3.218 6.665
9.471 5.072 8.597
1.286 10.451 7.539
6.665 5.685 3.218
2.160 4.093 0.307
7.539 1.286 10.451
3.218 6.665 5.685
8.597 9.471 5.072
0.228 0.492 3.497
5.151 10.266 8.876
10.530 5.870 1.882
3.497 0.228 0.492
5.607 4.887 7.261
8.876 5.151 10.266
1.882 10.530 5.870
7.261 5.607 4.887
0.492 3.497 0.228
5.870 1.882 10.530
4.887 7.261 5.607
10.266 8.876 5.151
2.995 5.081 4.951
2.384 5.676 10.330
7.763 10.460 0.427
4.951 2.995 5.081
8.373 0.297 5.806
10.330 2.384 5.676
0.427 7.763 10.460
5.806 8.373 0.297
5.081 4.951 2.995
10.460 0.427 7.763
0.297 5.806 8.373
5.676 10.330 2.384
0.590 8.558 2.416
4.789 2.199 7.794
10.168 3.180 2.963
2.416 0.590 8.558
5.968 7.578 8.342
7.794 4.789 2.199
2.963 10.168 3.180
8.342 5.968 7.578
8.558 2.416 0.590
3.180 2.963 10.168
7.578 8.342 5.968
2.199 7.794 4.789
1.973 2.663 4.264
3.405 8.094 9.642
8.784 8.042 1.115
4.264 1.973 2.663
7.352 2.716 6.494
9.642 3.405 8.094
1.115 8.784 8.042
6.494 7.352 2.716
2.663 4.264 1.973
8.042 1.115 8.784
2.716 6.494 7.352
8.094 9.642 3.405
```

Summary:
E_form (uncorrected)   -2.240 eV/atom
Symmetry   P2_13 (198)

Entry 2:
A plane-wave DFT calculation with GGA-PBEsol was carried out for a geometry-optimized ZrTeP2 structure.

POSCAR file:
```
ZrTeP2
1.0
3.361 0.000 0.000
0.000 4.670 0.000
0.000 0.000 4.670
P Te Zr
2 1 1
Cartesian
0.000 0.000 2.335
0.000 2.335 0.000
1.680 2.335 2.335
1.680 0.000 0.000
```

Summary:
E_form (uncorrected)   -0.140 eV/atom
Symmetry   P4/mmm (123)

Entry 3:
A plane-wave DFT calculation with GGA-PBEsol was carried out for a geometry-optimized LiSi2Tc structure.

POSCAR file:
```
LiSi2Tc
1.0
-0.371 1.689 4.237
1.221 -4.059 1.725
7.023 3.338 -3.188
Si Tc Li
4 2 2
Cartesian
2.738 -2.323 1.702
2.208 -0.660 -0.080
6.422 -1.278 -0.165
5.972 0.448 1.580
4.335 -0.953 0.759
0.000 0.000 0.000
3.539 1.921 2.015
0.425 -1.185 2.981
```

Summary:
E_form (uncorrected)   0.431 eV/atom
Symmetry   I-42d (122)

Entry 4:
A plane-wave DFT calculation with GGA-PBEsol was carried out for a geometry-optimized ZnAgBr2 structure.

POSCAR file:
```
ZnAgBr2
1.0
3.745 0.000 0.000
-1.873 3.164 0.000
0.000 0.000 8.374
Ag Br Zn
1 2 1
Cartesian
1.873 0.000 6.093
0.000 0.000 7.854
1.873 0.000 2.688
0.000 0.000 4.300
```

Summary:
E_form (uncorrected)   -0.142 eV/atom
Symmetry   Cmm2 (35)

Entry 5:
'''

My friend told me about The LDS Left site and emailed me the link to your article. I'm ever so glad she did.

I am an animal communicator, portrait artist and riding instructor-horse trainer. The Lord and his creation have opened me up to intelligence and light that comes packaged in innumerable forms. I've been undone, humbled, inspired, instructed by mice, hamsters, horses and everyone in between.

Once, as an answer to prayer, the Lord felt to me the rapport and reverence He exchanges with His Creation. I understood a little better how sacred all life is to Father in Heaven and His Son. Would that we, His spirit children, were more open to intuiting the eternal and lovely nature, the sanctity of our Earth and all her inhabitants.

Thanks again for your article. I think I'll feel at home on this site.

Janet Goldman Merrill